(File)
********
[1]
This record from the Alexandria database describes a geometry-optimized Na3AlCu structure. The functional is GGA-PBE.

Cell: 5.3374 5.3374 5.3374 Å, 90.00 90.00 90.00°
With the nearest neighbours (Å) after each atom.
Fractional positions:
Na1 0.0000 0.0000 0.5000  2 Cu 2.67
Na2 0.0000 0.5000 0.0000  2 Cu 2.67
Na3 0.5000 0.0000 0.0000  2 Cu 2.67
Al1 0.5000 0.5000 0.5000  12 Na 3.77
Cu1 0.0000 0.0000 0.0000  6 Na 2.67

Results
Magnetic moment   0.00 μB/f.u.
Energy relative to the elements   0.509 eV/atom
Space group   No. 221

[2]
This record from the Alexandria database describes a geometry-optimized NaAl2Cu2 structure. The functional is GGA-PBE.

Cell: 7.6798 7.6798 2.6577 Å, 90.00 90.00 90.00°
With the nearest neighbours (Å) after each atom.
Fractional positions:
Na1 0.0000 0.0000 0.0000  2 Na 2.66, 4 Cu 2.89
Na2 0.5000 0.5000 0.0000  2 Na 2.66, 4 Cu 2.89
Al1 0.1340 0.3660 0.5000  6 Cu 2.61-2.63, 3 Al 2.66-2.91
Al2 0.3660 0.8660 0.5000  6 Cu 2.61-2.63, 3 Al 2.66-2.91
Al3 0.6340 0.1340 0.5000  6 Cu 2.61-2.63, 3 Al 2.66-2.91
Al4 0.8660 0.6340 0.5000  6 Cu 2.61-2.63, 3 Al 2.66-2.91
Cu1 0.1597 0.6597 0.0000  6 Al 2.61-2.63, 2 Cu 2.66, 2 Na 2.89
Cu2 0.3403 0.1597 0.0000  6 Al 2.61-2.63, 2 Cu 2.66, 2 Na 2.89
Cu3 0.6597 0.8403 0.0000  6 Al 2.61-2.63, 2 Cu 2.66, 2 Na 2.89
Cu4 0.8403 0.3403 0.0000  6 Al 2.61-2.63, 2 Cu 2.66, 2 Na 2.89

Results
Magnetic moment   0.00 μB/f.u.
E above lowest polymorph   0 meV per atom
Energy relative to the elements   -0.108 eV/atom
Space group   No. 127

[3]
This record from the Alexandria database describes a geometry-optimized NaAl6Cu3 structure. The functional is GGA-PBE.

Cell: 8.2955 3.9469 10.3794 Å, 90.00 101.32 90.00°
With the nearest neighbours (Å) after each atom.
Fractional positions:
Na1 0.0075 0.2500 0.2649  7 Al 2.82-3.04, 5 Cu 2.93-3.03
Na2 0.9925 0.7500 0.7351  7 Al 2.82-3.04, 5 Cu 2.93-3.03
Al1 0.0939 0.2500 0.9591  2 Cu 2.57, 4 Al 2.75-2.81
Al2 0.2155 0.7500 0.4356  5 Cu 2.55-2.79, 2 Al 2.78-2.85
Al3 0.2364 0.7500 0.1717  3 Cu 2.49-2.63, 1 Al 2.78
Al4 0.3261 0.7500 0.7132  2 Cu 2.47-2.60, 3 Al 2.71
Al5 0.4221 0.2500 0.0767  4 Cu 2.46-2.67, 2 Al 2.71-2.76
Al6 0.4401 0.2500 0.5761  4 Cu 2.58-2.63, 5 Al 2.71-2.88
Al7 0.5599 0.7500 0.4239  4 Cu 2.58-2.63, 5 Al 2.71-2.88
Al8 0.5779 0.7500 0.9233  4 Cu 2.46-2.67, 2 Al 2.71-2.76
Al9 0.6739 0.2500 0.2868  2 Cu 2.47-2.60, 3 Al 2.71
Al10 0.7636 0.2500 0.8283  3 Cu 2.49-2.63, 1 Al 2.78
Al11 0.7845 0.2500 0.5644  5 Cu 2.55-2.79, 2 Al 2.78-2.85
Al12 0.9061 0.7500 0.0409  2 Cu 2.57, 4 Al 2.75-2.81
Cu1 0.1193 0.2500 0.5575  4 Al 2.55-2.79
Cu2 0.2870 0.7500 0.9435  7 Al 2.46-2.57
Cu3 0.3720 0.2500 0.3225  9 Al 2.58-2.75
Cu4 0.6280 0.7500 0.6775  9 Al 2.58-2.75
Cu5 0.7130 0.2500 0.0565  7 Al 2.46-2.57
Cu6 0.8807 0.7500 0.4425  4 Al 2.55-2.79

Results
Magnetic moment   0.00 μB/f.u.
Energy relative to the elements   0.010 eV/atom
Space group   No. 11

[4]
This record from the Alexandria database describes a geometry-optimized NaAl6Cu6 structure. The functional is GGA-PBE.

Cell: 6.6048 6.6048 6.6048 Å, 134.52 99.51 97.68°
With the nearest neighbours (Å) after each atom.
Fractional positions:
Na1 0.0000 0.0000 0.0000  8 Al 2.95-3.08, 12 Cu 3.25-3.30
Al1 0.1991 0.6991 0.5000  6 Cu 2.53-2.65
Al2 0.3461 0.0000 0.3461  3 Al 2.63-2.93, 6 Cu 2.65-2.72
Al3 0.3483 0.3483 0.0000  6 Cu 2.62-2.63, 3 Al 2.64-2.86
Al4 0.6517 0.6517 0.0000  6 Cu 2.62-2.63, 3 Al 2.64-2.86
Al5 0.6539 0.0000 0.6539  3 Al 2.63-2.93, 6 Cu 2.65-2.72
Al6 0.8009 0.3009 0.5000  6 Cu 2.53-2.65
Cu1 0.0000 0.0000 0.5000  4 Cu 2.52-2.55, 6 Al 2.53-2.65
Cu2 0.0000 0.5000 0.0000  4 Cu 2.52-2.55, 6 Al 2.53-2.65
Cu3 0.2353 0.5000 0.7353  4 Cu 2.52, 6 Al 2.62-2.72
Cu4 0.5000 0.0000 0.0000  4 Cu 2.52-2.55, 6 Al 2.53-2.65
Cu5 0.5000 0.5000 0.5000  4 Cu 2.52-2.55, 6 Al 2.53-2.65
Cu6 0.7647 0.5000 0.2647  4 Cu 2.52, 6 Al 2.62-2.72

Results
Magnetic moment   0.00 μB/f.u.
Energy relative to the elements   -0.193 eV/atom
Space group   No. 71

[5]
********
(Brief)
The reader should type out the whole of the lines earlier on exactly.
(Response)
[1]
This record from the Alexandria database describes a geometry-optimized Na3AlCu structure. The functional is GGA-PBE.

Cell: 5.3374 5.3374 5.3374 Å, 90.00 90.00 90.00°
With the nearest neighbours (Å) after each atom.
Fractional positions:
Na1 0.0000 0.0000 0.5000  2 Cu 2.67
Na2 0.0000 0.5000 0.0000  2 Cu 2.67
Na3 0.5000 0.0000 0.0000  2 Cu 2.67
Al1 0.5000 0.5000 0.5000  12 Na 3.77
Cu1 0.0000 0.0000 0.0000  6 Na 2.67

Results
Magnetic moment   0.00 μB/f.u.
Energy relative to the elements   0.509 eV/atom
Space group   No. 221

[2]
This record from the Alexandria database describes a geometry-optimized NaAl2Cu2 structure. The functional is GGA-PBE.

Cell: 7.6798 7.6798 2.6577 Å, 90.00 90.00 90.00°
With the nearest neighbours (Å) after each atom.
Fractional positions:
Na1 0.0000 0.0000 0.0000  2 Na 2.66, 4 Cu 2.89
Na2 0.5000 0.5000 0.0000  2 Na 2.66, 4 Cu 2.89
Al1 0.1340 0.3660 0.5000  6 Cu 2.61-2.63, 3 Al 2.66-2.91
Al2 0.3660 0.8660 0.5000  6 Cu 2.61-2.63, 3 Al 2.66-2.91
Al3 0.6340 0.1340 0.5000  6 Cu 2.61-2.63, 3 Al 2.66-2.91
Al4 0.8660 0.6340 0.5000  6 Cu 2.61-2.63, 3 Al 2.66-2.91
Cu1 0.1597 0.6597 0.0000  6 Al 2.61-2.63, 2 Cu 2.66, 2 Na 2.89
Cu2 0.3403 0.1597 0.0000  6 Al 2.61-2.63, 2 Cu 2.66, 2 Na 2.89
Cu3 0.6597 0.8403 0.0000  6 Al 2.61-2.63, 2 Cu 2.66, 2 Na 2.89
Cu4 0.8403 0.3403 0.0000  6 Al 2.61-2.63, 2 Cu 2.66, 2 Na 2.89

Results
Magnetic moment   0.00 μB/f.u.
E above lowest polymorph   0 meV per atom
Energy relative to the elements   -0.108 eV/atom
Space group   No. 127

[3]
This record from the Alexandria database describes a geometry-optimized NaAl6Cu3 structure. The functional is GGA-PBE.

Cell: 8.2955 3.9469 10.3794 Å, 90.00 101.32 90.00°
With the nearest neighbours (Å) after each atom.
Fractional positions:
Na1 0.0075 0.2500 0.2649  7 Al 2.82-3.04, 5 Cu 2.93-3.03
Na2 0.9925 0.7500 0.7351  7 Al 2.82-3.04, 5 Cu 2.93-3.03
Al1 0.0939 0.2500 0.9591  2 Cu 2.57, 4 Al 2.75-2.81
Al2 0.2155 0.7500 0.4356  5 Cu 2.55-2.79, 2 Al 2.78-2.85
Al3 0.2364 0.7500 0.1717  3 Cu 2.49-2.63, 1 Al 2.78
Al4 0.3261 0.7500 0.7132  2 Cu 2.47-2.60, 3 Al 2.71
Al5 0.4221 0.2500 0.0767  4 Cu 2.46-2.67, 2 Al 2.71-2.76
Al6 0.4401 0.2500 0.5761  4 Cu 2.58-2.63, 5 Al 2.71-2.88
Al7 0.5599 0.7500 0.4239  4 Cu 2.58-2.63, 5 Al 2.71-2.88
Al8 0.5779 0.7500 0.9233  4 Cu 2.46-2.67, 2 Al 2.71-2.76
Al9 0.6739 0.2500 0.2868  2 Cu 2.47-2.60, 3 Al 2.71
Al10 0.7636 0.2500 0.8283  3 Cu 2.49-2.63, 1 Al 2.78
Al11 0.7845 0.2500 0.5644  5 Cu 2.55-2.79, 2 Al 2.78-2.85
Al12 0.9061 0.7500 0.0409  2 Cu 2.57, 4 Al 2.75-2.81
Cu1 0.1193 0.2500 0.5575  4 Al 2.55-2.79
Cu2 0.2870 0.7500 0.9435  7 Al 2.46-2.57
Cu3 0.3720 0.2500 0.3225  9 Al 2.58-2.75
Cu4 0.6280 0.7500 0.6775  9 Al 2.58-2.75
Cu5 0.7130 0.2500 0.0565  7 Al 2.46-2.57
Cu6 0.8807 0.7500 0.4425  4 Al 2.55-2.79

Results
Magnetic moment   0.00 μB/f.u.
Energy relative to the elements   0.010 eV/atom
Space group   No. 11

[4]
This record from the Alexandria database describes a geometry-optimized NaAl6Cu6 structure. The functional is GGA-PBE.

Cell: 6.6048 6.6048 6.6048 Å, 134.52 99.51 97.68°
With the nearest neighbours (Å) after each atom.
Fractional positions:
Na1 0.0000 0.0000 0.0000  8 Al 2.95-3.08, 12 Cu 3.25-3.30
Al1 0.1991 0.6991 0.5000  6 Cu 2.53-2.65
Al2 0.3461 0.0000 0.3461  3 Al 2.63-2.93, 6 Cu 2.65-2.72
Al3 0.3483 0.3483 0.0000  6 Cu 2.62-2.63, 3 Al 2.64-2.86
Al4 0.6517 0.6517 0.0000  6 Cu 2.62-2.63, 3 Al 2.64-2.86
Al5 0.6539 0.0000 0.6539  3 Al 2.63-2.93, 6 Cu 2.65-2.72
Al6 0.8009 0.3009 0.5000  6 Cu 2.53-2.65
Cu1 0.0000 0.0000 0.5000  4 Cu 2.52-2.55, 6 Al 2.53-2.65
Cu2 0.0000 0.5000 0.0000  4 Cu 2.52-2.55, 6 Al 2.53-2.65
Cu3 0.2353 0.5000 0.7353  4 Cu 2.52, 6 Al 2.62-2.72
Cu4 0.5000 0.0000 0.0000  4 Cu 2.52-2.55, 6 Al 2.53-2.65
Cu5 0.5000 0.5000 0.5000  4 Cu 2.52-2.55, 6 Al 2.53-2.65
Cu6 0.7647 0.5000 0.2647  4 Cu 2.52, 6 Al 2.62-2.72

Results
Magnetic moment   0.00 μB/f.u.
Energy relative to the elements   -0.193 eV/atom
Space group   No. 71

[5]